[File]
'''
(1)
Formula: C4H10NO2
Source: the OMol25 dataset
Level of theory: wB97M-V/def2-TZVPD

XYZ file:
```
17
Properties=species:S:1:pos:R:3:forces:R:3
O 0.41339 0.89237 -1.39154 0.030 0.309 -0.414
O -2.41094 0.46161 0.16780 -0.279 0.266 -0.019
N -0.01035 1.14780 0.89175 -0.262 0.205 -0.054
C 0.42577 0.16760 -0.23078 0.070 -0.560 0.561
C -2.01582 -0.62481 -0.17845 0.044 -0.532 -0.172
C 1.85381 -0.27006 0.05823 -0.233 0.173 -0.221
C -0.56311 -1.01360 -0.23026 0.269 0.401 0.017
H -2.71509 -1.41914 -0.46715 -0.208 0.023 0.023
H -0.38398 -1.61225 -1.12688 0.031 0.019 0.041
H 2.51923 0.58781 0.01120 0.061 0.107 0.034
H -0.46245 0.97419 -1.79273 0.011 -0.037 0.084
H 1.93949 -0.75145 1.02731 -0.017 -0.055 0.135
H 2.17570 -0.97035 -0.70732 -0.038 -0.070 -0.059
H -1.06231 1.25331 0.78496 0.626 -0.026 0.126
H 0.45680 2.04874 0.73577 -0.063 -0.243 0.052
H 0.21748 0.80800 1.83018 -0.047 0.068 -0.159
H -0.37764 -1.67976 0.61793 0.006 -0.047 0.023
```
Positions in Å, forces in eV/Å.

Relative energy (zero: lowest compared OMol25 entry of this formula, charge and spin) (kJ/mol): 88.35
Total charge: +1
SMILES: C[C@@]([NH3+])(O)CC=O
HOMO level (eV): -15.1108
Multiplicity: 1

Löwdin population analysis, charges in e, atoms 1 to 8: number 1, O, carries 0.071; number 2, O, carries 0.070; number 3, N, carries 0.251; number 4, C, carries -0.561; number 5, C, carries -0.175; number 6, C, carries 0.017; number 7, C, carries -0.049; number 8, H, carries 0.146


(2)
Formula: C43H48N6O4PS4SiTi
Source: the OMol25 dataset
Level of theory: wB97M-V/def2-TZVPD

XYZ file:
```
108
Properties=species:S:1:pos:R:3:forces:R:3
Ti 0.84668 0.46867 -0.55019 -1.041 -0.524 -0.659
S 0.08723 -1.48224 -1.96652 0.050 -0.110 -0.413
S -3.57469 -0.07849 3.08405 0.218 0.246 0.289
S 0.79363 1.32920 1.83412 0.270 -0.292 0.090
S -1.09390 -1.70970 2.54790 0.163 -0.135 0.064
P -2.78279 -0.75195 -0.83070 -0.952 -0.460 0.077
Si 0.54414 -4.86864 -1.77823 0.188 -0.410 -0.278
O 4.03333 0.66313 1.28458 0.333 0.061 0.114
O 6.32352 0.84408 -2.85185 0.168 0.070 -0.059
O -1.46848 1.64336 -1.46867 -0.446 0.323 -0.117
O 1.80216 0.78624 -2.55018 -0.209 0.311 -0.071
N 1.26070 -1.29935 0.29117 0.515 -1.939 0.729
N 4.08221 0.83371 -2.71654 -0.277 -0.011 -0.443
N 2.94182 0.63433 -0.67182 -0.027 -0.131 -0.065
N -1.42453 1.84939 -0.09986 -0.789 0.310 0.148
N -1.26234 0.41296 4.07363 0.065 0.251 0.135
N 1.02948 2.45483 -0.45098 0.527 2.651 0.436
C 5.76324 2.54194 -0.36299 -0.197 0.105 -0.103
C 1.94563 -1.70067 1.36770 0.136 -0.151 0.313
C -4.31386 -4.25396 1.72403 0.015 -0.117 -0.034
C 1.09685 -3.59150 -0.47645 -0.262 -0.273 -0.229
C 6.18463 -1.31890 -0.19356 0.075 0.179 0.049
C -1.96153 1.62774 4.41303 0.061 0.233 0.090
C 4.07076 0.75909 0.07701 0.060 -0.016 -0.096
C 4.70982 3.53924 -0.82821 0.152 -0.058 0.105
C -4.41820 -2.75707 -4.04571 -0.073 -0.136 -0.055
C -1.86117 -0.45009 3.24102 -0.017 -0.243 0.337
C -2.65495 -3.15833 0.39542 -0.205 -0.043 -0.142
C -4.77574 -2.09449 0.77608 0.136 -0.091 -0.152
C 1.82195 -3.97145 0.64081 -0.073 0.233 -0.017
C 5.34078 0.88778 -2.15375 -0.153 -0.061 0.114
C -3.91249 -2.04282 -5.11728 -0.071 -0.065 -0.114
C -1.22166 -4.64854 -2.45696 0.631 0.047 0.258
C 1.81307 -4.84553 -3.20513 -0.526 0.040 0.506
C -3.52161 -2.08873 0.17943 0.171 0.122 -0.117
C -2.70186 -0.63612 -3.60156 0.004 -0.025 -0.051
C -3.44848 1.31467 4.27820 -0.243 -0.368 -0.183
C 5.38631 1.06503 -0.64886 0.543 -0.053 0.533
C -5.42776 0.33248 -1.22381 -0.018 0.200 -0.036
C -5.16585 -3.17773 1.54419 -0.126 -0.054 0.145
C -4.14993 0.49787 -0.70190 0.424 0.115 0.263
C -3.87327 1.62129 0.09350 -0.609 -0.047 -0.529
C -6.16779 2.31206 -0.08434 -0.138 0.052 0.016
C -3.05553 -4.24843 1.14204 -0.044 -0.092 -0.060
C 0.69677 -6.56766 -0.91681 -0.041 0.595 -0.269
C 1.30937 5.05440 0.47670 -0.052 -0.357 -0.033
C -3.05028 -0.98153 -4.89480 0.014 0.030 -0.091
C 2.26187 -3.02664 1.56685 0.015 0.057 -0.021
C 1.20758 4.78288 -0.89004 -0.019 0.001 -0.023
C -2.51205 1.86116 0.57151 0.613 0.234 -0.292
'''

[Job]
The reader should repeat the calculation results above without altering anything.

[Worked solution]
(1)
Formula: C4H10NO2
Source: the OMol25 dataset
Level of theory: wB97M-V/def2-TZVPD

XYZ file:
```
17
Properties=species:S:1:pos:R:3:forces:R:3
O 0.41339 0.89237 -1.39154 0.030 0.309 -0.414
O -2.41094 0.46161 0.16780 -0.279 0.266 -0.019
N -0.01035 1.14780 0.89175 -0.262 0.205 -0.054
C 0.42577 0.16760 -0.23078 0.070 -0.560 0.561
C -2.01582 -0.62481 -0.17845 0.044 -0.532 -0.172
C 1.85381 -0.27006 0.05823 -0.233 0.173 -0.221
C -0.56311 -1.01360 -0.23026 0.269 0.401 0.017
H -2.71509 -1.41914 -0.46715 -0.208 0.023 0.023
H -0.38398 -1.61225 -1.12688 0.031 0.019 0.041
H 2.51923 0.58781 0.01120 0.061 0.107 0.034
H -0.46245 0.97419 -1.79273 0.011 -0.037 0.084
H 1.93949 -0.75145 1.02731 -0.017 -0.055 0.135
H 2.17570 -0.97035 -0.70732 -0.038 -0.070 -0.059
H -1.06231 1.25331 0.78496 0.626 -0.026 0.126
H 0.45680 2.04874 0.73577 -0.063 -0.243 0.052
H 0.21748 0.80800 1.83018 -0.047 0.068 -0.159
H -0.37764 -1.67976 0.61793 0.006 -0.047 0.023
```
Positions in Å, forces in eV/Å.

Relative energy (zero: lowest compared OMol25 entry of this formula, charge and spin) (kJ/mol): 88.35
Total charge: +1
SMILES: C[C@@]([NH3+])(O)CC=O
HOMO level (eV): -15.1108
Multiplicity: 1

Löwdin population analysis, charges in e, atoms 1 to 8: number 1, O, carries 0.071; number 2, O, carries 0.070; number 3, N, carries 0.251; number 4, C, carries -0.561; number 5, C, carries -0.175; number 6, C, carries 0.017; number 7, C, carries -0.049; number 8, H, carries 0.146


(2)
Formula: C43H48N6O4PS4SiTi
Source: the OMol25 dataset
Level of theory: wB97M-V/def2-TZVPD

XYZ file:
```
108
Properties=species:S:1:pos:R:3:forces:R:3
Ti 0.84668 0.46867 -0.55019 -1.041 -0.524 -0.659
S 0.08723 -1.48224 -1.96652 0.050 -0.110 -0.413
S -3.57469 -0.07849 3.08405 0.218 0.246 0.289
S 0.79363 1.32920 1.83412 0.270 -0.292 0.090
S -1.09390 -1.70970 2.54790 0.163 -0.135 0.064
P -2.78279 -0.75195 -0.83070 -0.952 -0.460 0.077
Si 0.54414 -4.86864 -1.77823 0.188 -0.410 -0.278
O 4.03333 0.66313 1.28458 0.333 0.061 0.114
O 6.32352 0.84408 -2.85185 0.168 0.070 -0.059
O -1.46848 1.64336 -1.46867 -0.446 0.323 -0.117
O 1.80216 0.78624 -2.55018 -0.209 0.311 -0.071
N 1.26070 -1.29935 0.29117 0.515 -1.939 0.729
N 4.08221 0.83371 -2.71654 -0.277 -0.011 -0.443
N 2.94182 0.63433 -0.67182 -0.027 -0.131 -0.065
N -1.42453 1.84939 -0.09986 -0.789 0.310 0.148
N -1.26234 0.41296 4.07363 0.065 0.251 0.135
N 1.02948 2.45483 -0.45098 0.527 2.651 0.436
C 5.76324 2.54194 -0.36299 -0.197 0.105 -0.103
C 1.94563 -1.70067 1.36770 0.136 -0.151 0.313
C -4.31386 -4.25396 1.72403 0.015 -0.117 -0.034
C 1.09685 -3.59150 -0.47645 -0.262 -0.273 -0.229
C 6.18463 -1.31890 -0.19356 0.075 0.179 0.049
C -1.96153 1.62774 4.41303 0.061 0.233 0.090
C 4.07076 0.75909 0.07701 0.060 -0.016 -0.096
C 4.70982 3.53924 -0.82821 0.152 -0.058 0.105
C -4.41820 -2.75707 -4.04571 -0.073 -0.136 -0.055
C -1.86117 -0.45009 3.24102 -0.017 -0.243 0.337
C -2.65495 -3.15833 0.39542 -0.205 -0.043 -0.142
C -4.77574 -2.09449 0.77608 0.136 -0.091 -0.152
C 1.82195 -3.97145 0.64081 -0.073 0.233 -0.017
C 5.34078 0.88778 -2.15375 -0.153 -0.061 0.114
C -3.91249 -2.04282 -5.11728 -0.071 -0.065 -0.114
C -1.22166 -4.64854 -2.45696 0.631 0.047 0.258
C 1.81307 -4.84553 -3.20513 -0.526 0.040 0.506
C -3.52161 -2.08873 0.17943 0.171 0.122 -0.117
C -2.70186 -0.63612 -3.60156 0.004 -0.025 -0.051
C -3.44848 1.31467 4.27820 -0.243 -0.368 -0.183
C 5.38631 1.06503 -0.64886 0.543 -0.053 0.533
C -5.42776 0.33248 -1.22381 -0.018 0.200 -0.036
C -5.16585 -3.17773 1.54419 -0.126 -0.054 0.145
C -4.14993 0.49787 -0.70190 0.424 0.115 0.263
C -3.87327 1.62129 0.09350 -0.609 -0.047 -0.529
C -6.16779 2.31206 -0.08434 -0.138 0.052 0.016
C -3.05553 -4.24843 1.14204 -0.044 -0.092 -0.060
C 0.69677 -6.56766 -0.91681 -0.041 0.595 -0.269
C 1.30937 5.05440 0.47670 -0.052 -0.357 -0.033
C -3.05028 -0.98153 -4.89480 0.014 0.030 -0.091
C 2.26187 -3.02664 1.56685 0.015 0.057 -0.021
C 1.20758 4.78288 -0.89004 -0.019 0.001 -0.023
C -2.51205 1.86116 0.57151 0.613 0.234 -0.292